(Source)
<<<
P.
Be2CrB2 | GGA-PBE | relaxed

a b c (Å): 5.5884 5.5884 2.4758
angles (deg): 90.00 90.00 90.00
Closest atoms and distances in Å follow each position.
Atoms (fractional coordinates):
Cr1 0.0000 0.0000 0.0000  4 B 2.26, 8 Be 2.39, 2 Cr 2.48
Cr2 0.5000 0.5000 0.0000  4 B 2.26, 8 Be 2.39, 2 Cr 2.48
B1 0.3891 0.8891 0.0000  1 B 1.75
B2 0.8891 0.6109 0.0000  1 B 1.75
B3 0.6109 0.1109 0.0000  1 B 1.75
B4 0.1109 0.3891 0.0000  1 B 1.75
Be1 0.1827 0.6827 0.5000  6 B 2.05-2.09
Be2 0.6827 0.8173 0.5000  6 B 2.05-2.09
Be3 0.8173 0.3173 0.5000  6 B 2.05-2.09
Be4 0.3173 0.1827 0.5000  6 B 2.05-2.09

## Properties
* symmetry: P4/mbm
* mass density: 3.936 g/cm³
* volume: 77 Å³/cell
* total magnetic moment: 0.0 Bohr magnetons per cell

---

Q.
Be2CrB2 | GGA-PBE | relaxed

a b c (Å): 4.0276 4.1120 4.9098
angles (deg): 99.27 91.49 104.56
Closest atoms and distances in Å follow each position.
Atoms (fractional coordinates):
Cr1 0.7089 0.3144 0.5473  6 B 2.10-2.27
Cr2 0.2911 0.6856 0.4527  6 B 2.10-2.27
B1 0.4093 0.0539 0.8495  2 B 1.77-1.80
B2 0.5907 0.9461 0.1505  2 B 1.77-1.80
B3 0.1699 0.1716 0.5917  2 B 1.77-1.80, 2 Be 1.90-1.94
B4 0.8301 0.8284 0.4083  2 B 1.77-1.80, 2 Be 1.90-1.94
Be1 0.1665 0.1195 0.1994  4 B 1.90-2.02
Be2 0.8335 0.8805 0.8006  4 B 1.90-2.02
Be3 0.7359 0.4559 0.0961  3 B 1.94-2.09
Be4 0.2641 0.5441 0.9039  3 B 1.94-2.09

## Properties
* symmetry: P-1
* mass density: 3.928 g/cm³
* volume: 77 Å³/cell
* total magnetic moment: 0.0 Bohr magnetons per cell

---

Which of them is least stable? Easy: P.

---

P.
Be2CrB2 | GGA-PBE | relaxed

a b c (Å): 4.4280 3.9374 5.0552
angles (deg): 90.00 111.12 90.00
Closest atoms and distances in Å follow each position.
Atoms (fractional coordinates):
Cr1 0.5000 0.9363 0.0000  6 B 2.12-2.14
Cr2 0.0000 0.6608 0.5000  6 B 2.12-2.17, 2 Be 2.30
B1 0.7856 0.1615 0.3919  2 B 1.69-1.82, 1 Be 1.89
B2 0.2144 0.1615 0.6081  2 B 1.69-1.82, 1 Be 1.89
B3 0.3071 0.4367 0.8837  2 B 1.69
B4 0.6929 0.4367 0.1163  2 B 1.69
Be1 0.5000 0.8229 0.5000  2 B 2.04, 2 Be 2.27
Be2 0.8741 0.1875 0.7858  3 B 1.89-2.05, 1 Be 2.05
Be3 0.1259 0.1875 0.2142  3 B 1.89-2.05, 1 Be 2.05
Be4 0.0000 0.6960 0.0000  2 B 1.95

## Properties
* symmetry: P2
* mass density: 3.702 g/cm³
* volume: 82 Å³/cell
* total magnetic moment: 0.0 Bohr magnetons per cell

---

Q.
Be2CrB2 | GGA-PBE | relaxed

a b c (Å): 5.9961 5.8182 4.2466
angles (deg): 90.00 90.00 90.00
Closest atoms and distances in Å follow each position.
Atoms (fractional coordinates):
Cr1 0.0000 0.3405 0.2500  8 B 2.28-2.30, 8 Be 2.39-2.49
Cr2 0.0000 0.6595 0.7500  8 B 2.28-2.30, 8 Be 2.39-2.49
Cr3 0.5000 0.8405 0.2500  8 B 2.28-2.30, 8 Be 2.39-2.49
Cr4 0.5000 0.1595 0.7500  8 B 2.28-2.30, 8 Be 2.39-2.49
B1 0.3586 0.2046 0.2500  1 B 1.70
B2 0.3586 0.7954 0.7500  1 B 1.70
B3 0.6414 0.2046 0.2500  1 B 1.70
B4 0.6414 0.7954 0.7500  1 B 1.70
B5 0.8586 0.7046 0.2500  1 B 1.70
B6 0.8586 0.2954 0.7500  1 B 1.70
B7 0.1414 0.7046 0.2500  1 B 1.70
B8 0.1414 0.2954 0.7500  1 B 1.70
Be1 0.8217 0.0000 0.0000  4 B 1.93-2.03, 3 Be 2.12-2.14
Be2 0.1783 0.0000 0.5000  4 B 1.93-2.03, 3 Be 2.12-2.14
Be3 0.1783 0.0000 0.0000  4 B 1.93-2.03, 3 Be 2.12-2.14
Be4 0.8217 0.0000 0.5000  4 B 1.93-2.03, 3 Be 2.12-2.14
Be5 0.3217 0.5000 0.0000  4 B 1.93-2.03, 3 Be 2.12-2.14
Be6 0.6783 0.5000 0.5000  4 B 1.93-2.03, 3 Be 2.12-2.14
Be7 0.6783 0.5000 0.0000  4 B 1.93-2.03, 3 Be 2.12-2.14
Be8 0.3217 0.5000 0.5000  4 B 1.93-2.03, 3 Be 2.12-2.14

## Properties
* symmetry: Cmcm
* mass density: 4.109 g/cm³
* volume: 148 Å³/cell
* total magnetic moment: 0.0 Bohr magnetons per cell

---

Which of them is least stable? Easy: P.

---

P.
Be2CrB2 | GGA-PBE | relaxed

a b c (Å): 3.9676 2.8692 7.4268
angles (deg): 90.00 103.96 90.00
Closest atoms and distances in Å follow each position.
Atoms (fractional coordinates):
Cr1 0.1922 0.0000 0.8802  6 B 2.15-2.22
Cr2 0.1922 0.5000 0.3802  6 B 2.15-2.22
B1 0.0573 0.0000 0.5805  2 B 1.71, 1 Be 1.88
B2 0.0573 0.5000 0.0805  2 B 1.71, 1 Be 1.88
B3 0.2584 0.0000 0.1765  2 B 1.71
>>>

(Job)
Please restate the lines further up from the one with "symmetry: P4/mbm" to the one with "Cr1 0.7089" unchanged.

(Reply)
* symmetry: P4/mbm
* mass density: 3.936 g/cm³
* volume: 77 Å³/cell
* total magnetic moment: 0.0 Bohr magnetons per cell

---

Q.
Be2CrB2 | GGA-PBE | relaxed

a b c (Å): 4.0276 4.1120 4.9098
angles (deg): 99.27 91.49 104.56
Closest atoms and distances in Å follow each position.
Atoms (fractional coordinates):
Cr1 0.7089 0.3144 0.5473  6 B 2.10-2.27